### Entries
-- begin --
# 1
A structure of composition C3H4LiO4 at a distorted geometry, computed with wB97M-V/def2-TZVPD.

The geometry in XYZ format:
```
12
Properties=species:S:1:pos:R:3:forces:R:3
H 1.25092 -0.60588 1.97500 1.0 -0.2 -0.6
O 0.24459 2.48508 -1.36389 0.6 0.3 -0.4
H -0.18428 3.20134 -1.85119 -0.2 0.1 0.1
O 0.57907 -2.22912 0.86324 2.0 0.3 2.8
O 0.17231 0.39257 -0.88722 0.8 -0.3 -0.4
C 0.81206 -0.98378 1.03685 -1.0 -4.4 -1.6
O -1.75255 1.44178 -1.46113 0.7 -0.2 0.1
H -0.61947 -1.54174 -0.03930 -1.1 4.2 0.6
Li 0.08784 -3.82766 1.65311 0.2 0.1 -0.1
C -0.56854 1.45311 -1.27215 -1.5 0.6 0.0
H 0.22314 0.51252 1.12099 -4.3 -0.4 -0.8
C -0.24509 -0.29822 0.22568 2.9 0.1 0.4
```
Positions in Å, forces in eV/Å.

Calculated values
Net charge: +1
LUMO: -0.189 Eh
Relative energy (zero: lowest compared OMol25 entry of this formula, charge and spin): 139.66 kcal per mole
Strongest force on any atom: 4.80 eV Å⁻¹

So, what does the Mulliken scheme give us? The charges, in e, come out as: 0.298, -0.406, 0.375, -0.617, -0.260, -0.068, -0.474, 0.390, 0.947, 0.702, 0.230, -0.118

# 2
A structure of composition C3H4MgO3Tl at a distorted geometry, computed with wB97M-V/def2-TZVPD.

The geometry in XYZ format:
```
12
Properties=species:S:1:pos:R:3:forces:R:3
O -1.54907 2.19961 0.00561 1.7 1.6 -0.1
H -0.96282 -1.94621 0.29079 0.1 0.4 0.0
C 0.97543 -1.01205 -0.39806 -0.6 -0.5 0.2
C -0.26213 -1.12194 0.43298 0.2 0.2 -0.1
O -3.69416 1.41646 0.03193 0.6 2.2 -0.3
H -0.30035 -0.57185 1.38276 0.0 -0.4 -0.1
Mg 0.40051 1.59967 0.11508 -0.6 -0.6 -0.1
C -2.70899 2.01184 -0.01303 -1.8 -3.8 0.5
Tl 4.08078 0.16337 -0.09137 0.7 -0.2 0.0
H 1.63855 -1.86697 -0.15946 -0.1 0.2 -0.1
O 1.65843 0.20844 -0.12854 -0.3 1.3 0.0
H 0.72383 -1.08036 -1.46869 0.1 -0.2 0.2
```
Positions in Å, forces in eV/Å.

Calculated values
Net charge: +2
LUMO (spin up / spin down): -0.343 / -0.349 Eh
Relative energy (zero: lowest compared OMol25 entry of this formula, charge and spin): 27.05 kcal per mole
2S+1: 2
Strongest force on any atom: 4.27 eV Å⁻¹

So, what does the Mulliken scheme give us? The charges, in e, come out as: -0.307, 0.294, 0.175, -1.046, -0.120, 0.354, 1.120, 0.669, 0.767, 0.320, -0.525, 0.298

strongest force on any atom of number 2 (C3H4MgO3Tl)? 4.27 eV Å⁻¹


Entry 1:
DFT (ωB97M-V/def2-TZVPD) results for a cluster of 2 separate species, C27H35ClNO6PS in total.

Each line ends with the Mulliken charge.
Cartesian coordinates (Å):
C1 -0.99606 -2.03899 5.86838  -1.443
C2 -1.93566 -1.59250 4.75698  -0.124
C3 -2.41882 -2.76728 3.89317  -1.088
C4 -3.11216 -2.29788 2.59619  0.754
C5 -4.63844 -2.05788 2.75048  -1.758
C6 -2.74421 -3.09788 1.34819  0.398
C7 -1.68112 -2.60150 0.58023  -0.084
C8 -1.34311 -3.16685 -0.65520  0.212
C9 -2.05768 -4.23174 -1.14889  -1.204
C10 -3.10676 -4.75782 -0.40383  0.428
S1 -3.93205 -6.06440 -1.28804  -0.224
C11 -3.43803 -4.25144 0.86800  0.378
P1 -4.90830 -5.01614 1.71937  0.145
O1 -4.44614 -4.88482 3.28708  -0.360
O2 -4.55798 -6.61722 1.56751  -0.524
C12 -0.25275 -2.58427 -1.50429  -0.134
O3 0.38646 -3.26319 -2.27705  -0.589
C13 -0.05132 -1.12288 -1.33908  0.115
C14 0.42267 -0.32491 -2.36514  -0.819
C15 0.59892 1.04071 -2.18131  1.194
C16 1.09124 1.88385 -3.33302  -1.604
C17 0.00706 2.38229 -4.29279  0.362
C18 -1.09155 3.21764 -3.66280  -1.280
Cl1 -0.71596 0.99774 -5.18114  -0.212
C19 0.34549 1.59183 -0.91740  0.714
C20 0.63109 3.04467 -0.61453  -1.301
O4 2.02165 3.32946 -0.64745  -0.268
C21 2.72806 2.77316 0.44033  -0.576
C22 -0.11366 0.78420 0.11102  -0.721
C23 -0.33637 -0.56796 -0.09614  -0.033
C24 -0.81308 -1.45791 1.00608  -0.388
O5 -0.46165 -1.26584 2.15021  -0.551
H1 -0.10389 -2.51890 5.46575  0.346
H2 -0.65988 -1.17261 6.44389  0.398
H3 -1.49156 -2.70537 6.57663  0.332
H4 -2.81531 -1.11879 5.20659  0.301
H5 -1.43986 -0.83964 4.14536  0.213
H6 -3.11119 -3.33392 4.50610  0.634
H7 -1.55676 -3.39371 3.65341  0.362
H8 -2.69992 -1.30685 2.42163  0.592
H9 -4.85207 -0.99034 2.71627  0.408
H10 -5.20753 -2.50568 1.93460  0.421
-- stop --
### Assignment
Filter the notes further up: keep the lines with the word "DFT", please.
### Completed
DFT (ωB97M-V/def2-TZVPD) results for a cluster of 2 separate species, C27H35ClNO6PS in total.